**Request:**
Type out all of the block below unchanged, please.
**Contents:**
'''
Entry 1:
Here is ZrPaZn after structural relaxation from Alexandria. Energies are from GGA-PBE.

Properties
Relative energy among the computed polymorphs   0.687 eV/f.u.
Crystal system   trigonal

extended XYZ file:
```
3
Lattice="4.990 0.000 0.000 -2.495 4.322 0.000 0.000 0.000 3.062" Properties=species:S:1:pos:R:3 pbc="T T T"
Zr 0.000 0.000 0.000
Pa 2.495 1.441 1.528
Zn 0.000 2.881 3.050
```

***

Entry 2:
Here is ZrPaZn17 after structural relaxation from Alexandria. Energies are from GGA-PBE.

Properties
Crystal system   trigonal

extended XYZ file:
```
19
Lattice="4.458 2.574 4.342 -4.458 2.574 4.342 0.000 -5.148 4.342" Properties=species:S:1:pos:R:3 pbc="T T T"
Zr 0.000 0.000 0.000
Pa 0.000 0.000 8.734
Zn -1.311 -2.323 4.354
Zn -2.667 0.026 4.354
Zn -2.352 -1.358 6.723
Zn 0.000 0.000 2.986
Zn 1.311 -2.323 4.354
Zn -1.356 2.297 4.354
Zn 0.000 -2.508 6.556
Zn -2.172 1.254 6.556
Zn 0.000 0.000 5.612
Zn -2.201 -1.271 10.637
Zn 2.667 0.026 4.354
Zn 1.356 2.297 4.354
Zn 2.352 -1.358 6.723
Zn 0.000 2.716 6.723
Zn 2.172 1.254 6.556
Zn 2.201 -1.271 10.637
Zn 0.000 2.541 10.637
```

***

Entry 3:
Here is ZrPaZn after structural relaxation from Alexandria. Energies are from GGA-PBE.

Properties
Relative energy among the computed polymorphs   0.454 eV/f.u.
Crystal system   triclinic

extended XYZ file:
```
6
Lattice="3.076 0.000 0.000 -1.529 5.107 0.000 -0.008 -0.966 8.273" Properties=species:S:1:pos:R:3 pbc="T T T"
Zr -0.007 0.412 1.792
Zr 1.546 3.728 6.481
Pa 0.003 3.206 3.494
Pa 1.537 0.934 4.779
Zn 0.008 3.448 0.466
Zn 1.532 0.692 7.808
```

***

Entry 4:
Here is Zr2PaZn6 after structural relaxation from Alexandria. Energies are from GGA-PBE.

Properties
Crystal system   hexagonal

extended XYZ file:
```
9
Lattice="7.699 0.000 0.000 -3.849 6.667 0.000 0.000 0.000 3.157" Properties=species:S:1:pos:R:3 pbc="T T T"
Zr 0.000 4.445 0.000
Zr 3.849 2.222 0.000
Pa 0.000 0.000 0.000
Zn -1.303 2.258 1.579
Zn -2.546 4.410 1.579
Zn 2.607 0.000 1.579
Zn 1.303 2.258 1.579
Zn 5.092 0.000 1.579
Zn 2.546 4.410 1.579
```

***

no.,formation energy (eV/atom),size of the total moment (μB/f.u.),DOS at the Fermi energy (states/eV per cell)
1,0.12,0.00,5.56
2,-0.11,0.82,9.91
3,0.05,0.00,8.52
4,-0.20,0.00,8.43

* * * * *

The following is a DFT calculation (GGA-PBE) of a relaxed structure of Ce3Dy2Hg7.

a = 3.9229 Å, b = 5.1671 Å, c = 16.9176 Å
α = 98.78°, β = 90.00°, γ = 90.00°
Closest atoms and distances in Å follow each position.
Atoms (fractional coordinates):
Hg: 0.0000 0.5871 0.1742  2 Dy 3.05, 4 Hg 3.31
Hg: 0.5000 0.9330 0.8659  6 Hg 2.98-3.31, 2 Dy 3.01
Hg: 0.5000 0.0670 0.1341  6 Hg 2.98-3.31, 2 Dy 3.01
Hg: 0.0000 0.4129 0.8258  2 Dy 3.05, 4 Hg 3.31
Dy: 0.0000 0.8646 0.7293  5 Hg 2.98-3.05
Ce: 0.5000 0.5000 0.0000  12 Hg 3.24-3.51
Hg: 0.0000 0.7754 0.5508  1 Dy 2.98, 2 Hg 3.09
Hg: 0.0000 0.2246 0.4492  1 Dy 2.98, 2 Hg 3.09
Ce: 0.5000 0.3079 0.6159  6 Hg 3.41-3.42, 4 Dy 3.76
Ce: 0.5000 0.6921 0.3841  6 Hg 3.41-3.42, 4 Dy 3.76
Dy: 0.0000 0.1354 0.2707  5 Hg 2.98-3.05
Hg: 0.0000 0.0000 0.0000  4 Hg 2.98, 4 Ce 3.24

Results
M_tot: 0.11 μB per atom
DFT formation energy: -2.1 eV/f.u.
'''
**Solution:**
Entry 1:
Here is ZrPaZn after structural relaxation from Alexandria. Energies are from GGA-PBE.

Properties
Relative energy among the computed polymorphs   0.687 eV/f.u.
Crystal system   trigonal

extended XYZ file:
```
3
Lattice="4.990 0.000 0.000 -2.495 4.322 0.000 0.000 0.000 3.062" Properties=species:S:1:pos:R:3 pbc="T T T"
Zr 0.000 0.000 0.000
Pa 2.495 1.441 1.528
Zn 0.000 2.881 3.050
```

***

Entry 2:
Here is ZrPaZn17 after structural relaxation from Alexandria. Energies are from GGA-PBE.

Properties
Crystal system   trigonal

extended XYZ file:
```
19
Lattice="4.458 2.574 4.342 -4.458 2.574 4.342 0.000 -5.148 4.342" Properties=species:S:1:pos:R:3 pbc="T T T"
Zr 0.000 0.000 0.000
Pa 0.000 0.000 8.734
Zn -1.311 -2.323 4.354
Zn -2.667 0.026 4.354
Zn -2.352 -1.358 6.723
Zn 0.000 0.000 2.986
Zn 1.311 -2.323 4.354
Zn -1.356 2.297 4.354
Zn 0.000 -2.508 6.556
Zn -2.172 1.254 6.556
Zn 0.000 0.000 5.612
Zn -2.201 -1.271 10.637
Zn 2.667 0.026 4.354
Zn 1.356 2.297 4.354
Zn 2.352 -1.358 6.723
Zn 0.000 2.716 6.723
Zn 2.172 1.254 6.556
Zn 2.201 -1.271 10.637
Zn 0.000 2.541 10.637
```

***

Entry 3:
Here is ZrPaZn after structural relaxation from Alexandria. Energies are from GGA-PBE.

Properties
Relative energy among the computed polymorphs   0.454 eV/f.u.
Crystal system   triclinic

extended XYZ file:
```
6
Lattice="3.076 0.000 0.000 -1.529 5.107 0.000 -0.008 -0.966 8.273" Properties=species:S:1:pos:R:3 pbc="T T T"
Zr -0.007 0.412 1.792
Zr 1.546 3.728 6.481
Pa 0.003 3.206 3.494
Pa 1.537 0.934 4.779
Zn 0.008 3.448 0.466
Zn 1.532 0.692 7.808
```

***

Entry 4:
Here is Zr2PaZn6 after structural relaxation from Alexandria. Energies are from GGA-PBE.

Properties
Crystal system   hexagonal

extended XYZ file:
```
9
Lattice="7.699 0.000 0.000 -3.849 6.667 0.000 0.000 0.000 3.157" Properties=species:S:1:pos:R:3 pbc="T T T"
Zr 0.000 4.445 0.000
Zr 3.849 2.222 0.000
Pa 0.000 0.000 0.000
Zn -1.303 2.258 1.579
Zn -2.546 4.410 1.579
Zn 2.607 0.000 1.579
Zn 1.303 2.258 1.579
Zn 5.092 0.000 1.579
Zn 2.546 4.410 1.579
```

***

no.,formation energy (eV/atom),size of the total moment (μB/f.u.),DOS at the Fermi energy (states/eV per cell)
1,0.12,0.00,5.56
2,-0.11,0.82,9.91
3,0.05,0.00,8.52
4,-0.20,0.00,8.43

* * * * *

The following is a DFT calculation (GGA-PBE) of a relaxed structure of Ce3Dy2Hg7.

a = 3.9229 Å, b = 5.1671 Å, c = 16.9176 Å
α = 98.78°, β = 90.00°, γ = 90.00°
Closest atoms and distances in Å follow each position.
Atoms (fractional coordinates):
Hg: 0.0000 0.5871 0.1742  2 Dy 3.05, 4 Hg 3.31
Hg: 0.5000 0.9330 0.8659  6 Hg 2.98-3.31, 2 Dy 3.01
Hg: 0.5000 0.0670 0.1341  6 Hg 2.98-3.31, 2 Dy 3.01
Hg: 0.0000 0.4129 0.8258  2 Dy 3.05, 4 Hg 3.31
Dy: 0.0000 0.8646 0.7293  5 Hg 2.98-3.05
Ce: 0.5000 0.5000 0.0000  12 Hg 3.24-3.51
Hg: 0.0000 0.7754 0.5508  1 Dy 2.98, 2 Hg 3.09
Hg: 0.0000 0.2246 0.4492  1 Dy 2.98, 2 Hg 3.09
Ce: 0.5000 0.3079 0.6159  6 Hg 3.41-3.42, 4 Dy 3.76
Ce: 0.5000 0.6921 0.3841  6 Hg 3.41-3.42, 4 Dy 3.76
Dy: 0.0000 0.1354 0.2707  5 Hg 2.98-3.05
Hg: 0.0000 0.0000 0.0000  4 Hg 2.98, 4 Ce 3.24

Results
M_tot: 0.11 μB per atom
DFT formation energy: -2.1 eV/f.u.